Finally (!) here is the spin-off of All I Need to Know, that I hinted at after the final chapter of that story! I can't believe it's been almost a year ...

This story will be much shorter than the mother ship, I promise. And naturally, it will have a different outcome. Or rather, they won't lose 5 years first!

! ! ! SPOILER ALERT ! ! !

Please read AT LEAST THE FIRST 6, but preferably the first 53 chapters of that story before reading this! This story starts off with an exact and pretty heated quote from chapter 53, and a small part from chapter 70 to complete the first scene ... Enjoy!


Thursday October 20, 2011

"Kathy! Why haven't you invited a single one of the people I got to know through work?"

"Elliot. Keep your voice down!"

"I will not! Just answer the question!"


"Don't you shush me!"

"Elliot please."

"No Kathy. Just tell me why you didn't invite them!"

"Well, it's not like you've been keeping in touch anyway," Kathy argued. "I thought you'd left that life behind you. It's time to look at the future, Elliot."

"What future?!" Elliot spat. "Do I just sit around the house like I have been doing these past months? Because you gotta admit Kathy, it's not like things are getting any better between us."

"I wanna keep trying Elliot," Kathy hissed, keeping her voice down and trying again to get him to do the same.

"Why?" he yelled. "It's not going anywhere and you know it!"


Elliot stalked closer to his wife, getting in her face while he spoke.

"You gotta face it some time, Kathy. Maybe it wasn't the job all this time. Maybe it was us."

And then Kathy finally snapped.

"Or maybe it was your beloved Olivia!"


"You heard me. I know you were drooling all over her Elliot. You spent more time with her than you did with me!"

"We were working!"

"Blah blah blah. I've heard that one once too many times Elliot. How stupid do you think I am? How many times did you sleep with her?"

"Shut up!"

"No Elliot. Let's do this once and for all. How many times!"

"You don't know what the fuck you're talking about," Elliot hissed.

Their faces were just inches apart and neither of them was backing away.

"I think I know damn well what I'm talking about. Or else, why wouldn't you just answer the question?"


"Excuse me?"

"Not. Once. Never."

Kathy scoffed.

"I wouldn't do that to you, or to her. And she wouldn't do that to you. She's a decent person!"

"But you want her. I know you do!" Kathy spat, recovering quickly from her shock at Elliot's answer.

"I know I don't want this anymore, Kathy. Things haven't gotten better at all since I retired. Only worse, and I'm done."

That finally stunned Kathy into silence, but only briefly. She took a small step back to create some distance between her and her husband, and then spoke again.

"You're going to run back to her?"

Elliot took a step towards her, closing the distance once again.

"You really don't get it, do you?" he said, his voice a low, menacing rumble.

Kathy's response was a reflex.

"Looks like she's finally done with you too, doesn't it. Since she stood you up. So where you gonna go now?"

Disbelief flashed across Elliot's face, followed quickly by realization.

"Yeah. She stood me up. But how do you know about that!"

Kathy didn't say a word.

"You followed me?"

"Of course not."

Elliot turned away from her and Kathy took a deep breath, finally free of his suffocating proximity. He glanced around and saw Maureen watching them, her eyes filled with worry. Elliot turned back around slowly to face his wife.

"Did you see the letter?"

The guilt in Kathy's eyes was immediate and something clicked in Elliot's brain.

"Did she even get the letter?!"

He looked like he was ready to explode. He would never lay a hand on a woman, but was pretty sure he would have knocked Kathy out if she'd been a man.

"Screw you Kathy," he hissed. "I never want to see your face again!"

He stormed off then, heading for the door. Richard and Elizabeth were just walking towards him but stopped when they saw the anger on his face. He was swearing under his breath and muttered,

"I have to see Liv. Right now. God, I hope she can forgive me."

-- begin --
12
Lattice="-4.837 2.665 3.844 -1.521 -4.654 -4.616 3.035 -3.921 4.582" Properties=species:S:1:pos:R:3 comment="Tb3ErTm2S6, relaxed, DFT GGA-PBE" magnetic_moment_mub_per_atom=0.000 total_energy_ev_per_cell=-75.91 formation_energy_uncorrected_ev_per_fu=-23.7 pbc="T T T"
Tb -1.662 -2.955 1.905
Tm -2.627 -2.214 -1.795
S -0.287 -2.670 -0.495
Er 0.000 0.000 0.000
Tb -2.770 -0.511 4.730
Tm -3.732 0.225 1.023
S -4.009 -2.433 0.534
S -1.396 -0.220 2.336
S 0.685 -3.476 3.276
S -1.928 -5.689 1.474
Tb -0.554 -5.399 -0.920
S -3.037 -3.240 4.305

=====

[1]
CaBiAu2: relaxed, PBE.

Unit cell a=3.512 b=5.833 c=5.833 alpha=58.43 beta=90.00 gamma=90.00
Sites, in units of the cell vectors:
Ca 0.000 0.052 0.948
Bi 0.500 0.552 0.448
Au 0.500 0.556 0.946
Au 0.500 0.054 0.444

Summary:
crystal system = orthorhombic
energy = -3.511 eV per atom
ΔH_f (0 K) = -402 meV/atom

[2]
BeBrCl: relaxed, PBE.

Unit cell a=4.411 b=4.411 c=4.411 alpha=60.00 beta=60.00 gamma=60.00
Sites, in units of the cell vectors:
Be 0.250 0.250 0.250
Br 0.000 0.000 0.000
Cl 0.500 0.500 0.500

Summary:
crystal system = cubic
E_form (uncorrected) = -32 kJ/mol of formula units
energy = -2.525 eV per atom
energy above the most stable polymorph in this dataset = 1048 meV/atom

=====

[1]
Below is Ba2ZnTc after structural relaxation, with properties calculated at the PBE level.

Structure (CIF):
```
data_Ba2ZnTc
_chemical_formula_sum 'Ba2 Zn1 Tc1'
_cell_length_a 3.6657
_cell_length_b 3.6657
_cell_length_c 9.2854
_cell_angle_alpha 90.00
_cell_angle_beta 90.00
_cell_angle_gamma 90.00
_symmetry_space_group_name_H-M 'P 4 m m'
_symmetry_Int_Tables_number 99
_symmetry_space_group_name_Hall 'P 4 -2'
loop_
_atom_site_label
_atom_site_fract_x
_atom_site_fract_y
_atom_site_fract_z
Ba1 0.0000 0.0000 0.0000
Ba2 0.5000 0.5000 0.4329
Zn1 0.5000 0.5000 0.7580
Tc1 0.0000 0.0000 0.6891
```

Properties
Calculated formation energy in meV/atom: 388

[2]
Below is UP3Ru2 after structural relaxation, with properties calculated at the PBE level.

Structure (CIF):
```
data_UP3Ru2
_chemical_formula_sum 'U2 P6 Ru4'
_cell_length_a 3.6318
_cell_length_b 8.8484
_cell_length_c 6.0550
_cell_angle_alpha 90.00
_cell_angle_beta 90.00
_cell_angle_gamma 90.00
_symmetry_space_group_name_H-M 'P m c 21'
_symmetry_Int_Tables_number 26
_symmetry_space_group_name_Hall 'P 2c -2'
loop_
_atom_site_label
_atom_site_fract_x
_atom_site_fract_y
_atom_site_fract_z
U1 0.0000 0.1331 0.0000
P1 0.0000 0.4116 0.8020
P2 0.5000 0.0862 0.6494
P3 0.5000 0.2767 0.2724
Ru1 0.0000 0.2412 0.5204
Ru2 0.5000 0.4937 0.0070
```

Properties
Calculated formation energy in meV/atom: -649

[3]
Below is ScVZn3 after structural relaxation, with properties calculated at the PBE level.

Structure (CIF):
```
data_ScVZn3
_chemical_formula_sum 'Sc1 V1 Zn3'
_cell_length_a 5.0227
_cell_length_b 5.0227
_cell_length_c 5.0227
_cell_angle_alpha 90.00
_cell_angle_beta 90.00
_cell_angle_gamma 90.00
_symmetry_space_group_name_H-M 'P m -3 m'
_symmetry_Int_Tables_number 221
-- stop --

"Dad!" Richard said.

"Get outta my way!"

"Where are you going?"

"Ask your mother! I'm done here!"

Elliot Stabler stormed past the children, not bothering to get his coat, and left his own birthday party to find the one person he wanted to see right now. He needed to see right now. He could only hope that he hadn't done any irreparable damage to their relationship ... whatever it was. He needed to fix that. Give what they shared a real name. Call it what it truly was and let the chips fall where they may. The cold night air hit him and it felt good. He was finally leaving behind the suffocation he'd felt for months - no years - and was walking with his head high. There was no going back now, not ever again. He'd go to her place and wouldn't leave until she heard him out. His anger at Kathy was fueling him, and he had no trouble walking straight despite his level of intoxication. His stride was determined. He knew he had drank a lot but he was convinced that he was clearheaded enough to tell her what she needed to know. All he could think about was the injustice of it all, and how they had both been wronged, forgetting for the moment that Olivia might feel wronged in a completely different way right now. He just needed to see her. To talk to her. That was all.


Olivia Benson hadn't really been focused all day long. There was a lull in their cases and she and Nick had been doing paperwork mostly while Fin and Rollins were out on a case and Munch was with TARU going through some security footage for them. Although she was getting used to seeing Nick sitting across from her whenever she looked up, it had been a little more painful today. His birthday. It was the first time in thirteen years that she wouldn't congratulate him. Because he was gone. He had disappeared from her life, and had done it so convincingly, that if he were dead she wouldn't know.

She felt silly about what she'd done now, but she had gone out to buy his favorite beer and had ordered 'their' takeout. It didn't taste as good as it used to these days and she hated herself for even wanting to remember him this way. He'd left her. He just walked out of her life and never looked back. She'd called his number until she finally got a message that it had been disconnected. She'd stopped trying to see him at home after Kathy had sent her away a few times. And then last month she got an envelope with his mini badge in it, and a tiny note. Semper Fi. El.

Always faithful. Right.


"Fuck you Elliot," she mumbled, finishing her fourth beer of the night. Or was it her fifth?

She leaned forward to check the two sixpacks on the floor in front of her couch and raised her eyebrows when she saw that the first sixpack was completely gone and she'd already started on the second. Seven beers? God, what had it come to? She was pathetic. She got up and grabbed a few empty bottles, cursing under her breath when she dropped two of them. She had eaten too little and drank too much, and was unsteady on her feet.

"Fuck you Elliot!" she said a little louder, and the sound of her own voice gave her enough strength to stand up straight and walk over to the kitchen to toss the empty bottles in the bin.

She looked at the leftovers of her takeout, and decided to put it all in the fridge. It was almost a complete meal, she'd hardly touched it. When tears welled up in her eyes unexpectedly, she slammed the refrigerator shut, making the contents rattle but she didn't care. She wasn't going to cry over him. Not again. He left her. He didn't deserve it.

Unrelated to this article: materials data =
<<<
A) Computed, not measured: a relaxed structure of Tl8HgS4 at the PBE level of DFT.

Geometry as CIF:
```
data_Tl8HgS4
_chemical_formula_sum 'Tl8 Hg1 S4'
_space_group_name_H-M_alt 'P 1'
_space_group_IT_number 1
_cell_length_a 8.437
_cell_length_b 8.437
_cell_length_c 9.192
_cell_angle_alpha 90.00
_cell_angle_beta 117.32
_cell_angle_gamma 120.00
loop_
_space_group_symop_operation_xyz
'x,y,z'
loop_
_atom_site_label
_atom_site_fract_x
_atom_site_fract_y
_atom_site_fract_z
Tl1 0.479 0.739 0.218
Tl2 0.521 0.261 0.782
Tl3 0.473 0.236 0.214
Tl4 0.023 0.259 0.786
Tl5 0.527 0.764 0.786
Tl6 0.023 0.764 0.786
Tl7 0.977 0.236 0.214
Tl8 0.977 0.741 0.214
Hg1 0.000 0.500 0.500
S1 0.000 0.000 0.000
S2 0.000 0.500 0.000
S3 0.500 0.500 0.000
S4 0.500 0.000 0.000
```

Properties
space group	R-3m, No. 166
crystal system	trigonal
density of states at the Fermi level	0.1	states/eV/cell



B) Computed, not measured: a relaxed structure of Tl8HgS4 at the PBE level of DFT.

Geometry as CIF:
```
data_Tl8HgS4
_chemical_formula_sum 'Tl8 Hg1 S4'
_space_group_name_H-M_alt 'P 1'
_space_group_IT_number 1
_cell_length_a 8.844
_cell_length_b 8.844
_cell_length_c 8.844
_cell_angle_alpha 60.00
_cell_angle_beta 60.00
_cell_angle_gamma 60.00
loop_
_space_group_symop_operation_xyz
'x,y,z'
loop_
_atom_site_label
_atom_site_fract_x
_atom_site_fract_y
_atom_site_fract_z
Tl1 0.604 0.132 0.132
Tl2 0.132 0.604 0.132
Tl3 0.132 0.132 0.604
Tl4 0.132 0.132 0.132
Tl5 0.177 0.608 0.608
Tl6 0.608 0.177 0.608
Tl7 0.608 0.608 0.177
Tl8 0.608 0.608 0.608
Hg1 0.750 0.750 0.750
S1 0.885 0.372 0.372
S2 0.372 0.885 0.372
S3 0.372 0.372 0.885
S4 0.372 0.372 0.372
```

Properties
space group	F-43m, No. 216
crystal system	cubic



Relative to the most stable structure, the computed energies are A) 0.0; B) 3.4, all in kJ/mol of atoms.



A) Computed, not measured: a relaxed structure of TlHgS at the PBE level of DFT.

Geometry as CIF:
```
data_TlHgS
_chemical_formula_sum 'Tl1 Hg1 S1'
_space_group_name_H-M_alt 'P 1'
_space_group_IT_number 1
_cell_length_a 3.714
_cell_length_b 3.714
_cell_length_c 6.068
_cell_angle_alpha 107.82
_cell_angle_beta 107.82
_cell_angle_gamma 90.00
loop_
_space_group_symop_operation_xyz
'x,y,z'
loop_
_atom_site_label
_atom_site_fract_x
_atom_site_fract_y
_atom_site_fract_z
S1 0.680 0.680 0.360
Tl1 0.014 0.014 0.028
Hg1 0.306 0.306 0.613
```

Properties
space group	I4mm, No. 107
crystal system	tetragonal
density of states at the Fermi level	1.3	states/eV/cell



B) Computed, not measured: a relaxed structure of TlHgS at the PBE level of DFT.

Geometry as CIF:
```
data_TlHgS
_chemical_formula_sum 'Tl1 Hg1 S1'
_space_group_name_H-M_alt 'P 1'
_space_group_IT_number 1
_cell_length_a 5.262
_cell_length_b 6.767
_cell_length_c 6.763
_cell_angle_alpha 53.32
_cell_angle_beta 39.39
_cell_angle_gamma 39.37
loop_
_space_group_symop_operation_xyz
'x,y,z'
loop_
_atom_site_label
_atom_site_fract_x
_atom_site_fract_y
_atom_site_fract_z
Tl1 0.154 0.805 0.584
Hg1 0.505 0.307 0.086
>>>

"Dad hates me."

"No he doesn't. Trust me. If he did he'd just walk out of your life."

Those words had haunted her for months now. The first few weeks, she had thought he would contact her again soon. She'd still been calling and texting him almost daily by the end of June and she'd been confident that he'd drop by her apartment any moment. And she would have been ready to support him. But after almost two months without a word, she had begun to doubt herself. Or him. Or both of them. Had she done something to chase him away? She hadn't been able to think of anything. They'd been relaxed around each other over the past year. Maybe he just needed a little time away from the job, and then he'd be back. But by August, she'd been an angry mess and it had showed. Then, to top it off, Cragen had told her Elliot had put his papers in. She still couldn't think of any reason why he'd suddenly hate her and cut her out of her life like that. His resignation had felt like a knife to her heart, so one day she had decided that it was on him. All on him. He was just another asshole who walked out on her. He'd only taken a bit longer to realize he could do without her than all the others.

She plopped back down on the couch and wiped at her eyes. She knew she didn't really mean that. He could act like an asshole at times but she'd known the man inside. And she had truly believed that that man had cared for her. But for some reason, suddenly one day he didn't. It was either that, or he'd been too broken to be able to talk to her. And both possibilities still hurt like hell. It was so not like him to just cut her out of his life, that she couldn't deal with it. She didn't want to cry and tried to find something to watch on TV to distract her. She settled on a rerun of a sitcom they used to watch together and grabbed another beer. One more, for old time's sake, she thought. Just before she put the bottle to her lips, she whispered,

"Happy birthday, El."

A firm knock on her door startled her, and she scanned the room immediately, locating her gun. She hoisted herself up from the couch again and groaned, wishing now that she hadn't opened that eighth beer. Or the seventh for that matter. She grabbed her gun and then walked to the door to look through the peephole. Before she could look, her nightly visitor knocked again, even louder than before.

"What the hell," Olivia huffed.

Who could it be at this hour? It was almost midnight. She leaned her left palm against the door, clutching her gun in her right hand, and looked through the peephole. Her stomach dropped when she saw who was standing outside her apartment.



Dun dun!

Can't help wondering if they should be doing this now ... can you? :)

Reviews are life.